-- Activity --
Please say how many lines of the rows below hold the word "E_form", as a bare number.

-- Data --
____________
The following is a DFT calculation (PBE) of a geometry-optimized La4Sm3Y8 structure.

abc: 12.678 12.678 12.678
angles: 32.39 32.39 32.39
Fractional coordinates of all 15 atoms:
La1 0.000 0.000 0.000
La2 0.164 0.164 0.164
La3 0.500 0.500 0.500
La4 0.836 0.836 0.836
Sm1 0.000 0.500 0.500
Sm2 0.500 0.000 0.500
Sm3 0.500 0.500 0.000
Y1 0.250 0.250 0.748
Y2 0.250 0.748 0.250
Y3 0.252 0.750 0.750
Y4 0.255 0.255 0.255
Y5 0.745 0.745 0.745
Y6 0.748 0.250 0.250
Y7 0.750 0.252 0.750
Y8 0.750 0.750 0.252

DFT formation energy	115.5	meV/atom
D(E_F)	24.5	states/eV per cell
symmetry	R-3m, No. 166

The following is a DFT calculation (PBE) of a geometry-optimized TlHgTePb structure.

abc: 12.394 12.394 12.394
angles: 25.32 25.32 25.32
Fractional coordinates of all 8 atoms:
Tl1 0.111 0.111 0.111
Tl2 0.889 0.889 0.889
Hg1 0.198 0.198 0.198
Hg2 0.802 0.802 0.802
Te1 0.382 0.382 0.382
Te2 0.618 0.618 0.618
Pb1 0.292 0.292 0.292
Pb2 0.708 0.708 0.708

E_form (uncorrected)	-28	kJ/mol of formula units
excess energy over the best structure of this formula in the dataset	0.08	eV per formula unit
D(E_F)	4.0	states/eV per cell
symmetry	R-3m, No. 166

The following is a DFT calculation (PBE) of a geometry-optimized PaReRh structure.

abc: 10.164 10.164 10.164
angles: 160.23 160.23 28.10
Fractional coordinates of all 6 atoms:
Pa1 0.121 0.121 0.000
Pa2 0.879 0.879 0.000
Re1 0.283 0.283 0.000
Re2 0.717 0.717 0.000
Rh1 0.434 0.434 0.000
Rh2 0.566 0.566 0.000

DFT formation energy	-126.0	meV/atom
D(E_F)	4.8	states/eV per cell
symmetry	I4/mmm, No. 139

The following is a DFT calculation (PBE) of a geometry-optimized NdCuSnAu structure.

abc: 4.968 4.968 4.968
angles: 60.00 60.00 60.00
Fractional coordinates of all 4 atoms:
Nd1 0.000 0.000 0.000
Cu1 0.750 0.750 0.750
Sn1 0.500 0.500 0.500
Au1 0.250 0.250 0.250

DFT formation energy	-490.0	meV/atom
D(E_F)	1.6	states/eV per cell
symmetry	F-43m, No. 216

~~~~~

The following is a DFT calculation (PBE with a Hubbard U) of a relaxed structure of Zn2MoSeO7.

raw total energy = -5.68 eV per atom

abc: 5.206 8.618 7.415
angles: 90.00 99.44 90.00
Sites, in units of the cell vectors:
Zn  0.038  0.000  0.272
Zn  0.432  0.827  0.973
Zn  0.568  0.327  0.027
Zn  0.962  0.500  0.728
Mo  0.423  0.336  0.483
Mo  0.577  0.836  0.517
Se  0.035  0.128  0.890
Se  0.965  0.628  0.110
O  0.163  0.661  0.944
O  0.208  0.479  0.552
O  0.212  0.299  0.887
O  0.250  0.018  0.046
O  0.258  0.155  0.445
O  0.293  0.816  0.340
O  0.486  0.896  0.730
O  0.514  0.396  0.270
O  0.707  0.316  0.660
O  0.742  0.655  0.555
O  0.750  0.518  0.954
O  0.788  0.799  0.113
O  0.792  0.979  0.448
O  0.837  0.161  0.056
____________

-- Outcome --
1